What will life be like after the Coronavirus pandemic blows over? Will the something called COVID-19 change our lives forever? Most of us already know the history of the Coronavirus. Believed to have originated in a wet market in Wuhan, China in December 2019, the Coronavirus has spread rapidly all around the globe. The really dangerous thing about it is you could be infected and spreading it to others a week before you develop symptoms yourself — meaning you don’t even know you’re contagious until after the damage is done.
It took a while, but governments all over the world have done the only thing they could to fight the Coronavirus — implementing lockdowns. (Even then, lockdowns will only slow the virus down, not stop it.) Where I live, it’s not legal to be outside except for “essentials” like visiting your doctor or buying food or medicine. And even then, no more than 2 people together. I’m impacted less than most, but even then I’m worried that when the lockdown is supposed to be over, it will simply be extended.
Inserted here: crystal structures:
=====
Diffraction record for Be2AlTc. The XRD peak list is theoretical, not measured: it uses a crystal structure in OQMD, relaxed with PBE and Cu Kα X-rays.
Peak positions follow from Bragg's law for the DFT cell and can differ from measured ones.

Structure:
Cell lengths 5.718, 5.718, 5.718 Å; angles 90.00, 90.00, 90.00 degrees
Space group F-43m (No. 216)
One atom of each set of equivalent atoms:
Be  0.000  0.000  0.000 x4
Be  0.250  0.250  0.250 x4
Al  0.000  0.000  0.500 x4
Tc  0.250  0.250  0.750 x4

Principal peaks in the range 10° ≤ 2θ ≤ 90°, by intensity:
hkl	two_theta	Rel. int.
1 1 1	27.0	100
2 2 0	44.8	77
3 1 1	53.1	45
2 0 0	31.3	30
4 2 2	82.7	25
3 3 1	72.0	18
5 1 1	88.9	14
4 0 0	65.3	12
4 2 0	74.2	9
2 2 2	55.7	7

~~~~~

[1]
Theoretical powder diffraction line list of Ac5IrPd2 for Cu Kα, from a GGA-PBE-relaxed structure.
Intensities are scaled so that the largest is 100.

Atomic structure:
```
Ac5IrPd2
1.0
6.058 0.000 0.000
0.000 14.802 0.000
-3.027 0.000 6.885
Ac Ir Pd
10 2 4
Cartesian
0.001 1.775 0.780 Ac
0.001 5.626 0.780 Ac
0.003 11.101 3.659 Ac
-0.002 1.122 4.660 Ac
-0.002 6.279 4.660 Ac
3.032 8.523 2.225 Ac
3.032 13.680 2.225 Ac
3.028 3.700 3.226 Ac
3.030 9.176 6.105 Ac
3.030 13.027 6.105 Ac
-0.001 3.700 2.980 Ir
3.032 11.101 3.905 Ir
0.003 8.290 2.178 Pd
0.003 13.913 2.178 Pd
3.027 0.889 4.707 Pd
3.027 6.512 4.707 Pd
```

Main lines, low angle first (2θ from 10° to 90°):
2θ = 15.98°, I 38
2θ = 22.17°, I 40
2θ = 24.14°, I 38
2θ = 27.36°, I 46
2θ = 29.49°, I 100
2θ = 31.69°, I 81
2θ = 43.84°, I 68
2θ = 47.53°, I 36

[2]
Theoretical powder diffraction line list of Ac9Ir4Pd2 for Cu Kα, from a GGA-PBE-relaxed structure.
Intensities are scaled so that the largest is 100.

Atomic structure:
```
Ac9Ir4Pd2
1.0
7.549 0.000 0.000
-3.775 6.538 0.000
0.000 0.000 21.050
Ac Ir Pd
18 8 4
Cartesian
-1.266 2.193 5.262 Ac
-2.509 4.345 15.787 Ac
-1.237 2.314 19.328 Ac
-2.389 4.310 8.803 Ac
2.532 0.000 5.262 Ac
1.266 2.193 15.787 Ac
1.237 2.314 8.803 Ac
-1.152 6.452 19.328 Ac
2.622 0.086 12.247 Ac
1.386 2.228 1.722 Ac
2.389 4.310 19.328 Ac
1.152 6.452 8.803 Ac
4.927 0.086 1.722 Ac
2.538 4.224 12.247 Ac
5.017 0.000 15.787 Ac
2.509 4.345 5.262 Ac
6.164 2.228 12.247 Ac
5.011 4.224 1.722 Ac
0.000 4.359 0.127 Ir
0.000 4.359 6.893 Ir
0.000 4.359 10.652 Ir
0.000 4.359 17.418 Ir
3.775 2.179 3.632 Ir
3.775 2.179 10.398 Ir
3.775 2.179 14.157 Ir
3.775 2.179 20.923 Ir
0.000 0.000 3.442 Pd
0.000 0.000 7.083 Pd
0.000 0.000 13.967 Pd
0.000 0.000 17.608 Pd
```

Main lines, low angle first (2θ from 10° to 90°):
2θ = 26.82°, I 100
2θ = 34.91°, I 66
2θ = 41.43°, I 47
2θ = 45.63°, I 24
2θ = 50.05°, I 18
2θ = 55.27°, I 18
2θ = 68.69°, I 20
2θ = 71.37°, I 16

[3]
Theoretical powder diffraction line list of Ac8Ir3Pd for Cu Kα, from a GGA-PBE-relaxed structure.
Intensities are scaled so that the largest is 100.

Atomic structure:
```
Ac8Ir3Pd
1.0
7.281 -4.435 0.000
7.281 4.435 0.000
-4.529 0.000 7.180
Ac Ir Pd
8 3 1
Cartesian
3.746 2.284 5.388 Ac
2.384 0.000 1.833 Ac
=====
End of the crystal structures:
The manufactured recession
The lockdowns are basically shutting down the economy for the duration of the Coronavirus pandemic. I need some supplies and such that just can’t be bought in my city right now. (I did go for a much-needed manicure and pedicure just a few days before they locked the doors, and of course I’m happy I did.) But the businesses that closed have fixed expenses, like rent, that must be paid anyhow. Even when there’s no money coming in. They can temporarily lay off employees, but those employees have fixed expenses themselves; everything from food to recurring bills that won’t stop just because there’s a virus knocking at the door.
Governments have collectively pledged trillions to help people weather the Coronavirus pandemic. But where is the money going to come from? This is only possible by printing money, which is usually how governments finance wars. (Although in actual practice these days, a wire transfer is more likely to be used instead.) What does this mean in the long term, for life after the Coronavirus? It can only result in strong and persistent inflation.
Some of this money will be earmarked for helping small businesses stay out of bankruptcy. But I suspect what will really happen is that small businesses will be given just enough money to pay off their bank loans. And without enough to resume business afterward, they will just have to go bankrupt anyway. In other words, the money is all going to go to the banks, while the small business owners themselves will be thrown under the bus.
Investing in the age of Coronavirus
Every time the stock market is down, I see ads to invest now, while stock prices are cheap. But as I have said in a previous post if there’s no specific reason for the market being down, then what you are seeing is just market jitters (investor nervousness, or lemming-like behavior). But if there’s a specific, tangible reason for the market being down, such as, uh, a pandemic, then the market is probably going to continue in the same direction for a long, long time. Now is a good time to get out of stocks and into inflation-proof investments. Bonds (government or corporate) will also be a bad investment; even if you get all your money back, the coming inflation will make it worth less than before.
Big business and the internet
As small businesses fail, their assets, inventory, infrastructure, and customer lists will be gobbled up by big businesses, who will emerge with a market share greater than ever.
In these locked-down times, the only way many people can do just about anything is over the internet. Those who have been avoiding the internet, because it’s confusing to them or because they want to support their local brick and mortar stores, will find they have no choice. And once they become acclimated to ordering online, many will continue to do so, ignoring the struggling appliance shop in their own neighborhood.
Mega-corporations like Amazon are doing so much business shipping health and sanitation supplies now that they have suspended the shipping of all other product lines — such as books (which is where Amazon began).
These days there are plenty of shopping opportunities that are available only on the internet. If you don’t have internet access, tough, you can’t get there from here. Expect this trend to explode in the future.
Misplaced calculated crystals:
+++
No. 1
V3OF11: simulated X-ray diffraction stick pattern (Cu Kα X-rays), based on a crystal structure in the Materials Project, relaxed with PBE+U.
Peak positions follow from Bragg's law for the DFT cell and can differ from measured ones.

Peak list (10 most intense, 15 to 90 degrees two-theta, sorted by position)
| d [Å] | 2theta | Rel. int. |
| --- | --- | --- |
| 4.861 | 18.25 | 56.0 |
| 3.529 | 25.24 | 100.0 |
| 2.729 | 32.82 | 9.2 |
| 2.430 | 36.99 | 8.3 |
| 2.300 | 39.17 | 10.9 |
| 2.206 | 40.91 | 7.4 |
| 1.893 | 48.05 | 16.4 |
| 1.727 | 53.03 | 9.5 |
| 1.695 | 54.12 | 7.5 |
| 1.645 | 55.90 | 7.4 |

Crystal structure
```
data_V3OF11
_space_group_name_H-M_alt 'P 1 21 1'
_space_group_IT_number 4
_cell_length_a 5.4583
_cell_length_b 5.2581
_cell_length_c 14.8194
_cell_angle_alpha 90.00
_cell_angle_beta 100.27
_cell_angle_gamma 90.00
loop_
_space_group_symop_operation_xyz
'x,y,z'
'-x,y+1/2,-z'
loop_
_atom_site_label
_atom_site_type_symbol
_atom_site_fract_x
_atom_site_fract_y
_atom_site_fract_z
V1 V 0.0432 0.0000 0.1635
V2 V 0.2501 0.4763 0.5001
V3 V 0.4276 0.9833 0.8327
O1 O 0.2085 0.6807 0.8558
F1 F 0.0514 0.8820 0.0519
F2 F 0.0616 0.7793 0.5248
F3 F 0.1124 0.1883 0.8091
F4 F 0.1443 0.0488 0.2823
F5 F 0.2083 0.5615 0.3829
F6 F 0.2727 0.2668 0.1415
F7 F 0.2893 0.3886 0.6169
F8 F 0.3689 0.8878 0.7163
F9 F 0.3894 0.7697 0.1900
F10 F 0.4389 0.1728 0.4753
F11 F 0.4545 0.0532 0.9510
```



No. 2
CaLaMn2O6: simulated X-ray diffraction stick pattern (Cu Kα X-rays), based on a crystal structure in the Materials Project, relaxed with PBE+U.
Peak positions follow from Bragg's law for the DFT cell and can differ from measured ones.

Peak list (10 most intense, 15 to 90 degrees two-theta, sorted by position)
| d [Å] | 2theta | Rel. int. |
| --- | --- | --- |
| 4.514 | 19.67 | 21.5 |
| 4.486 | 19.79 | 44.1 |
| 4.452 | 19.95 | 22.1 |
| 2.790 | 32.09 | 100.0 |
| 2.760 | 32.43 | 96.5 |
| 2.691 | 33.29 | 91.8 |
| 2.027 | 44.70 | 34.8 |
| 1.907 | 47.69 | 27.3 |
| 1.899 | 47.91 | 30.7 |
| 1.570 | 58.82 | 21.3 |

Crystal structure
```
data_CaLaMn2O6
_space_group_name_H-M_alt 'P 1'
_space_group_IT_number 1
_cell_length_a 5.5373
_cell_length_b 5.5972
_cell_length_c 7.5951
_cell_angle_alpha 89.61
_cell_angle_beta 89.51
_cell_angle_gamma 86.49
loop_
_space_group_symop_operation_xyz
'x,y,z'
loop_
_atom_site_label
_atom_site_type_symbol
_atom_site_fract_x
_atom_site_fract_y
_atom_site_fract_z
Ca1 Ca 0.0000 0.0000 0.0000
Ca2 Ca 0.4927 0.5921 0.4985
La1 La 0.4851 0.5094 0.9982
La2 La 0.9770 0.0799 0.4983
Mn1 Mn 0.4864 0.0443 0.2474
Mn2 Mn 0.4860 0.0451 0.7487
Mn3 Mn 0.9874 0.5461 0.2494
Mn4 Mn 0.9890 0.5457 0.7483
O1 O 0.0688 0.5239 0.4979
O2 O 0.1948 0.2576 0.2051
O3 O 0.1974 0.2531 0.7928
O4 O 0.2549 0.7433 0.2127
O5 O 0.2893 0.7787 0.7877
O6 O 0.4127 0.0250 0.4996
O7 O 0.5712 0.0608 0.9966
O8 O 0.6761 0.3164 0.7058
O9 O 0.7170 0.3527 0.2899
O10 O 0.7695 0.8303 0.7067
O11 O 0.7771 0.8322 0.2875
O12 O 0.9145 0.5700 0.0000
```



No. 3
+++
Winners and losers after Coronavirus
As I’ve said, holding stocks or bonds is not a good idea right now. Nor is any kind of account where the amount in the account is denominated in the local currency. If there is a $, £, €, or ¥ in front of the value of your account, don’t keep a lot of money there. (This goes for cash under the mattress as well.)
Much better are “hard” assets such as collectable works of art or uncut diamonds (although you do have to have a place to keep them). But beware of an “account” that keeps precious objects for you in their own vaults; regardless of how much is in your account, if the company goes bankrupt, you can lose everything. Be careful!!
I expect the situation in the last two paragraphs to go on for about 10 years.
If the virus is truly devastating, with many people lost to it, expect real estate prices to soften.
I personally don’t believe the virus was intentionally created as a power or money grab. But now that it’s here, plenty of shady operators are coming out of the woodwork, asking, “how can we make money off of this?” Any scheme they come up with is likely to line their pockets by taking your hard-earned money. This is what is meant by a zero-sum game.
The community of nations
If you believe the experts (I do), then the best we can do right now is to implement a lockdown and keep it implemented until the danger is over. Yes, it’s a bitch, but I’d rather stay home today than die tomorrow. Countries that don’t do this will lose more people to the virus. I feel especially concerned for the United States, where just 4 out of 50 states have gone into lockdown mode. What’s to stop a Californian from driving to Reno or Las Vegas to get her hair done? A lockdown in the United States would have to happen (and be enforced) in all 50 states simultaneously. Or at the very least there would have to be strong border checkpoints between locked and unlocked regions.
Our lives will change after the Coronavirus. I don’t think we’ll have a near-extinction event, but things will change for those who make it through.
My hat is off to those knowledgeable professionals, from Atlanta, Georgia, USA to Wuhan, China who are tirelessly working hard to save us. If you want to know what they’re going through, I suggest the board game Pandemic.